_Request_
Your job: restate the calculation results further down from the line with "2.66736 -0.16552" to the end verbatim.

_Given_
____________
1.
2 unconnected molecules or ions with the total composition C3H6INOS in a non-equilibrium geometry, computed with wB97M-V/def2-TZVPD.

Structure (XYZ):
```
13
Properties=species:S:1:pos:R:3
C 1.91562 -0.87830 0.55879
C 0.50885 1.05690 0.32134
C -0.40654 -1.21412 0.10404
N 0.76231 -0.37154 0.35985
O 2.66126 -1.77467 0.66570
S 3.96189 1.43795 0.43188
I 5.40917 -0.39743 0.28590
H 0.08897 1.32716 -0.65008
H -0.20354 1.32484 1.10476
H 1.44775 1.59320 0.47104
H -1.17744 -1.00652 0.84754
H -0.80016 -0.98913 -0.88902
H -0.13083 -2.26492 0.15453
```

## Properties
energy	-943.708163	Eh
strongest force on any atom	2.8	eV/Å
HOMO-LUMO gap (spin up / spin down)	6.55 / 6.26	eV


2.
A molecular structure, C19H13BeF3N2O2PS2, computed with wB97M-V/def2-TZVPD.

Structure (XYZ):
```
43
Properties=species:S:1:pos:R:3
Be 1.38510 0.73666 0.50369
S 2.72903 -0.81405 0.74537
C 2.66736 -0.16552 2.35794
S 1.42849 1.04584 2.56279
C 3.51101 -0.55290 3.37110
C 4.50957 -1.55305 3.17326
N 5.31265 -2.36388 3.01380
C 3.39955 0.01618 4.67717
N 3.32094 0.46341 5.73623
F 2.13285 4.28239 0.97107
C 2.88564 3.73536 -0.00432
F 3.56997 4.72703 -0.58682
F 3.76941 2.91661 0.57373
C 1.97171 2.99097 -1.01098
O 1.64832 3.54801 -2.03719
O 1.57278 1.84986 -0.60307
C -1.61694 1.83983 -0.23765
P -0.71502 0.25793 -0.22261
C -1.83250 -0.88905 0.62011
C -3.03079 -1.33510 0.06507
C -3.86553 -2.16887 0.78991
C -3.50963 -2.56130 2.07583
C -2.31750 -2.12441 2.63220
C -1.47672 -1.29067 1.90510
C -0.74017 -0.28399 -1.95871
C -0.42019 -1.61417 -2.23543
C -0.36999 -2.06824 -3.54212
C -0.62775 -1.19432 -4.59163
C -0.92669 0.13194 -4.32668
C -0.98272 0.58715 -3.01480
H -2.62958 1.73239 -0.62999
H -1.05847 2.56456 -0.82811
H -1.66703 2.19997 0.79068
H -3.30157 -1.04125 -0.94292
H -4.79324 -2.51711 0.35354
H -4.16368 -3.21328 2.64128
H -2.03413 -2.43334 3.62973
H -0.53970 -0.94864 2.33261
H -0.20235 -2.29894 -1.42348
H -0.11932 -3.10170 -3.74369
H -0.58157 -1.54674 -5.61437
H -1.10571 0.82250 -5.14054
H -1.18587 1.63195 -2.82709
```

## Properties
energy	-2444.161812	Eh
strongest force on any atom	0.4	eV/Å
HOMO-LUMO gap	7.62	eV
total charge	-1


3.
A molecular structure, C33H29NO9OsP2, computed with wB97M-V/def2-TZVPD.

Structure (XYZ):
```
75
Properties=species:S:1:pos:R:3
Os -0.17221 -0.91292 0.19855
O 1.71901 -0.90092 0.40633
C 2.66829 0.11800 0.11927
C 2.00423 1.17039 -0.78413
C 0.84147 1.88582 -0.16328
C 0.89175 3.24009 0.10383
C -0.24657 3.88511 0.55810
C -1.42163 3.16884 0.66917
C -1.42220 1.80701 0.40559
C -2.70216 1.01804 0.44460
C -2.85494 -0.04360 -0.66580
O -1.93122 -1.10822 -0.43953
C -2.61392 0.49821 -2.06921
C -2.76596 1.84050 -2.39349
C -2.55897 2.28331 -3.69496
C -2.20044 1.38528 -4.68668
C -2.05551 0.03979 -4.37214
C -2.26290 -0.40035 -3.07515
C -4.25003 -0.64894 -0.51778
C -4.48638 -1.53603 0.52936
C -5.75231 -2.06278 0.72739
C -6.79724 -1.70618 -0.11479
C -6.56716 -0.82180 -1.15633
C -5.29757 -0.29477 -1.35842
N -0.28565 1.17982 0.05870
C 3.14823 0.77982 1.41079
C 4.40126 1.38348 1.46826
C 4.81731 2.03885 2.61799
C 3.98833 2.09252 3.72932
C 2.73896 1.49274 3.67879
C 2.31902 0.84375 2.52567
C 3.82321 -0.58398 -0.58670
C 4.37999 -1.69120 0.05254
C 5.43421 -2.37912 -0.51752
C 5.95312 -1.97046 -1.74222
C 5.40174 -0.87872 -2.38681
C 4.33795 -0.18803 -1.81134
H 1.64716 0.65584 -1.68286
H 2.73927 1.91313 -1.09115
H 1.81841 3.77394 -0.05300
H -0.22411 4.94285 0.78483
H -2.34792 3.64776 0.95543
H -3.53946 1.71373 0.38996
H -2.78701 0.50046 1.40248
H -3.05808 2.55955 -1.63924
H -2.68202 3.33288 -3.92967
H -2.03952 1.72878 -5.70023
H -1.78412 -0.67104 -5.14195
H -2.15440 -1.44938 -2.83122
H -3.68136 -1.83012 1.19179
H -5.91734 -2.75413 1.54321
H -7.78586 -2.11860 0.03996
H -7.37415 -0.54303 -1.82173
H -5.12866 0.38593 -2.18309
H 5.06410 1.33589 0.61271
H 5.79715 2.49794 2.64689
H 4.31855 2.59038 4.63173
H 2.08452 1.52113 4.54060
H 1.34455 0.37724 2.50900
H 3.96489 -2.01271 0.99958
H 5.85392 -3.23824 -0.01041
H 6.78165 -2.50491 -2.18823
H 5.79193 -0.55720 -3.34376
____________

_Here it is_
C 2.66736 -0.16552 2.35794
S 1.42849 1.04584 2.56279
C 3.51101 -0.55290 3.37110
C 4.50957 -1.55305 3.17326
N 5.31265 -2.36388 3.01380
C 3.39955 0.01618 4.67717
N 3.32094 0.46341 5.73623
F 2.13285 4.28239 0.97107
C 2.88564 3.73536 -0.00432
F 3.56997 4.72703 -0.58682
F 3.76941 2.91661 0.57373
C 1.97171 2.99097 -1.01098
O 1.64832 3.54801 -2.03719
O 1.57278 1.84986 -0.60307
C -1.61694 1.83983 -0.23765
P -0.71502 0.25793 -0.22261
C -1.83250 -0.88905 0.62011
C -3.03079 -1.33510 0.06507
C -3.86553 -2.16887 0.78991
C -3.50963 -2.56130 2.07583
C -2.31750 -2.12441 2.63220
C -1.47672 -1.29067 1.90510
C -0.74017 -0.28399 -1.95871
C -0.42019 -1.61417 -2.23543
C -0.36999 -2.06824 -3.54212
C -0.62775 -1.19432 -4.59163
C -0.92669 0.13194 -4.32668
C -0.98272 0.58715 -3.01480
H -2.62958 1.73239 -0.62999
H -1.05847 2.56456 -0.82811
H -1.66703 2.19997 0.79068
H -3.30157 -1.04125 -0.94292
H -4.79324 -2.51711 0.35354
H -4.16368 -3.21328 2.64128
H -2.03413 -2.43334 3.62973
H -0.53970 -0.94864 2.33261
H -0.20235 -2.29894 -1.42348
H -0.11932 -3.10170 -3.74369
H -0.58157 -1.54674 -5.61437
H -1.10571 0.82250 -5.14054
H -1.18587 1.63195 -2.82709
```

## Properties
energy	-2444.161812	Eh
strongest force on any atom	0.4	eV/Å
HOMO-LUMO gap	7.62	eV
total charge	-1


3.
A molecular structure, C33H29NO9OsP2, computed with wB97M-V/def2-TZVPD.

Structure (XYZ):
```
75
Properties=species:S:1:pos:R:3
Os -0.17221 -0.91292 0.19855
O 1.71901 -0.90092 0.40633
C 2.66829 0.11800 0.11927
C 2.00423 1.17039 -0.78413
C 0.84147 1.88582 -0.16328
C 0.89175 3.24009 0.10383
C -0.24657 3.88511 0.55810
C -1.42163 3.16884 0.66917
C -1.42220 1.80701 0.40559
C -2.70216 1.01804 0.44460
C -2.85494 -0.04360 -0.66580
O -1.93122 -1.10822 -0.43953
C -2.61392 0.49821 -2.06921
C -2.76596 1.84050 -2.39349
C -2.55897 2.28331 -3.69496
C -2.20044 1.38528 -4.68668
C -2.05551 0.03979 -4.37214
C -2.26290 -0.40035 -3.07515
C -4.25003 -0.64894 -0.51778
C -4.48638 -1.53603 0.52936
C -5.75231 -2.06278 0.72739
C -6.79724 -1.70618 -0.11479
C -6.56716 -0.82180 -1.15633
C -5.29757 -0.29477 -1.35842
N -0.28565 1.17982 0.05870
C 3.14823 0.77982 1.41079
C 4.40126 1.38348 1.46826
C 4.81731 2.03885 2.61799
C 3.98833 2.09252 3.72932
C 2.73896 1.49274 3.67879
C 2.31902 0.84375 2.52567
C 3.82321 -0.58398 -0.58670
C 4.37999 -1.69120 0.05254
C 5.43421 -2.37912 -0.51752
C 5.95312 -1.97046 -1.74222
C 5.40174 -0.87872 -2.38681
C 4.33795 -0.18803 -1.81134
H 1.64716 0.65584 -1.68286
H 2.73927 1.91313 -1.09115
H 1.81841 3.77394 -0.05300
H -0.22411 4.94285 0.78483
H -2.34792 3.64776 0.95543
H -3.53946 1.71373 0.38996
H -2.78701 0.50046 1.40248
H -3.05808 2.55955 -1.63924
H -2.68202 3.33288 -3.92967
H -2.03952 1.72878 -5.70023
H -1.78412 -0.67104 -5.14195
H -2.15440 -1.44938 -2.83122
H -3.68136 -1.83012 1.19179
H -5.91734 -2.75413 1.54321
H -7.78586 -2.11860 0.03996
H -7.37415 -0.54303 -1.82173
H -5.12866 0.38593 -2.18309
H 5.06410 1.33589 0.61271
H 5.79715 2.49794 2.64689
H 4.31855 2.59038 4.63173
H 2.08452 1.52113 4.54060
H 1.34455 0.37724 2.50900
H 3.96489 -2.01271 0.99958
H 5.85392 -3.23824 -0.01041
H 6.78165 -2.50491 -2.18823
H 5.79193 -0.55720 -3.34376